(To do)
Retype everything below unchanged.
(Excerpt)
=====
(1)
Entry from the Materials Project database: crystalline Na7Sc2Si3Sn2P3O24 at its relaxed geometry (PBE).

As for the formation energy: -2.81 eV/atom. The calculation puts the density at 3.236 g/cm3. Its total energy is -6.832 eV/atom.

a = 9.1140 Å, b = 9.1168 Å, c = 22.4492 Å
α = 89.92°, β = 89.79°, γ = 60.01°
Last column: nearest neighbours and their distance in Å.
Sites, in units of the cell vectors:
Na1 0.0000 0.0000 0.0000  6 O 2.45-2.70
Na2 0.9999 0.3696 0.5046  6 O 2.43-2.72
Na3 0.0320 0.0211 0.3330  5 O 2.43-2.65
Na4 0.0325 0.3043 0.8331  5 O 2.43-2.62
Na5 0.0346 0.6637 0.0847  6 O 2.49-2.63
Na6 0.0431 0.6634 0.5863  6 O 2.47-2.70
Na7 0.0701 0.3269 0.1686  6 O 2.45-2.70
Na8 0.3278 0.7025 0.1709  5 O 2.46-2.57
Na9 0.3328 0.3339 0.6674  6 O 2.42-2.68
Na10 0.3634 0.3672 0.9999  5 O 2.45-2.61
Na11 0.3670 0.9981 0.7516  6 O 2.47-2.59
Na12 0.3679 0.6182 0.5012  6 O 2.48-2.63
Na13 0.3785 0.9825 0.2529  6 O 2.43-2.65
Na14 0.3989 0.3021 0.3377  5 O 2.42-2.63
Na15 0.4014 0.6602 0.8337  5 O 2.40-2.61
Na16 0.6933 0.3384 0.4170  6 O 2.47-2.69
Na17 0.7018 0.3238 0.9153  6 O 2.49-2.66
Na18 0.7039 0.6883 0.6709  5 O 2.41-2.59
Na19 0.7069 0.9594 0.1699  6 O 2.46-2.72
Na20 0.7364 0.0011 0.4980  6 O 2.44-2.69
Na21 0.7427 0.6234 0.9987  6 O 2.46-2.73
Sc1 0.0319 0.6728 0.2362  4 O 1.99-2.15
Sc2 0.0369 0.6568 0.9334  6 O 2.00-2.23
Sc3 0.0392 0.6622 0.4331  6 O 2.02-2.25
Sc4 0.3621 0.0022 0.1031  5 O 1.98-2.17
Sc5 0.6963 0.3330 0.5688  6 O 2.01-2.25
Sc6 0.7083 0.3254 0.0662  5 O 1.98-2.16
Si1 0.0729 0.2932 0.0011  4 O 1.64-1.66
Si2 0.3349 0.3645 0.8342  4 O 1.64-1.65
Si3 0.3351 0.6640 0.3344  4 O 1.64-1.65
Si4 0.3678 0.2911 0.5013  4 O 1.64-1.65
Si5 0.4015 0.6299 0.6679  4 O 1.64-1.65
Si6 0.7364 0.6651 0.8347  4 O 1.63-1.66
Si7 0.7360 0.9614 0.3343  4 O 1.63-1.67
Si8 0.9970 0.3296 0.6680  4 O 1.63-1.67
Si9 0.9981 0.0328 0.1678  4 O 1.64-1.66
Sn1 0.0328 0.6639 0.7340  6 O 2.04-2.15
Sn2 0.3600 0.0000 0.6054  6 O 2.02-2.18
Sn3 0.3709 0.9993 0.8981  6 O 2.03-2.18
Sn4 0.3752 0.9925 0.3981  6 O 2.02-2.16
Sn5 0.7019 0.3309 0.7685  6 O 2.02-2.17
Sn6 0.7034 0.3320 0.2704  6 O 2.03-2.13
P1 0.0332 0.3677 0.3350  4 O 1.54-1.57
P2 0.0332 0.9580 0.8359  4 O 1.54-1.57
P3 0.0773 0.9961 0.5001  4 O 1.54-1.56
P4 0.3675 0.7048 0.0013  4 O 1.54-1.57
P5 0.4087 0.3295 0.1678  4 O 1.54-1.56
P6 0.6587 0.7059 0.5027  4 O 1.54-1.56
P7 0.6610 0.9978 0.0026  4 O 1.54-1.56
P8 0.7023 0.6225 0.1671  4 O 1.55-1.56
P9 0.7037 0.0344 0.6670  4 O 1.54-1.57
O1 0.0083 0.5065 0.6716  1 Si 1.67
O2 0.0094 0.8807 0.8935  1 P 1.54
O3 0.0113 0.4722 0.3917  1 P 1.54
O4 0.0151 0.8446 0.1708  1 Si 1.64
O5 0.0569 0.4811 0.9975  1 Si 1.65
O6 0.0572 0.8378 0.4957  1 P 1.55
O7 0.0626 0.4474 0.2790  1 P 1.54
O8 0.0671 0.8405 0.7814  1 P 1.55
O9 0.1567 0.0275 0.4433  1 P 1.56
O10 0.1579 0.1685 0.9423  1 Si 1.66
O11 0.1876 0.0135 0.1653  1 Si 1.65
O12 0.1923 0.2054 0.0595  1 Si 1.64
O13 0.1930 0.1678 0.6666  1 Si 1.65
O14 0.1941 0.1868 0.3394  1 P 1.57
O15 0.1950 0.4778 0.4986  1 Si 1.64
O16 0.1973 0.9577 0.5542  1 P 1.55
O17 0.1972 0.9729 0.8384  1 P 1.57
O18 0.2030 0.6951 0.9970  1 P 1.55
O19 0.2135 0.4488 0.7751  1 Si 1.65
O20 0.2142 0.6459 0.6741  1 Si 1.64
O21 0.2184 0.6978 0.2751  1 Si 1.64
O22 0.2286 0.4847 0.1736  1 P 1.55
O23 0.2543 0.6252 0.3937  1 Si 1.64
O24 0.2546 0.4840 0.8932  1 Si 1.64
O25 0.3346 0.2034 0.5605  1 Si 1.65
O26 0.3382 0.1819 0.8379  1 Si 1.65
O27 0.3379 0.8433 0.3398  1 Si 1.65
O28 0.3457 0.8142 0.0567  1 P 1.54
O29 0.3992 0.1642 0.1643  1 P 1.55
O30 0.4011 0.1705 0.4423  1 Si 1.65
O31 0.4008 0.7838 0.9445  1 P 1.57
O32 0.4009 0.8113 0.6633  1 Si 1.65
O33 0.4827 0.5093 0.6092  1 Si 1.64
O34 0.4898 0.3605 0.1123  1 P 1.54
O35 0.5192 0.3025 0.2244  1 P 1.56
O36 0.5219 0.3493 0.8281  1 Si 1.65
O37 0.5219 0.4910 0.3291  1 Si 1.65
O38 0.5222 0.5481 0.7273  1 Si 1.65
O39 0.5244 0.5248 0.0051  1 P 1.55
O40 0.5389 0.7870 0.4486  1 P 1.55
O41 0.5396 0.8247 0.8390  1 Si 1.65
O42 0.5400 0.9960 0.3367  1 Si 1.65
O43 0.5406 0.3052 0.5037  1 Si 1.64
=====
(Here it is)
(1)
Entry from the Materials Project database: crystalline Na7Sc2Si3Sn2P3O24 at its relaxed geometry (PBE).

As for the formation energy: -2.81 eV/atom. The calculation puts the density at 3.236 g/cm3. Its total energy is -6.832 eV/atom.

a = 9.1140 Å, b = 9.1168 Å, c = 22.4492 Å
α = 89.92°, β = 89.79°, γ = 60.01°
Last column: nearest neighbours and their distance in Å.
Sites, in units of the cell vectors:
Na1 0.0000 0.0000 0.0000  6 O 2.45-2.70
Na2 0.9999 0.3696 0.5046  6 O 2.43-2.72
Na3 0.0320 0.0211 0.3330  5 O 2.43-2.65
Na4 0.0325 0.3043 0.8331  5 O 2.43-2.62
Na5 0.0346 0.6637 0.0847  6 O 2.49-2.63
Na6 0.0431 0.6634 0.5863  6 O 2.47-2.70
Na7 0.0701 0.3269 0.1686  6 O 2.45-2.70
Na8 0.3278 0.7025 0.1709  5 O 2.46-2.57
Na9 0.3328 0.3339 0.6674  6 O 2.42-2.68
Na10 0.3634 0.3672 0.9999  5 O 2.45-2.61
Na11 0.3670 0.9981 0.7516  6 O 2.47-2.59
Na12 0.3679 0.6182 0.5012  6 O 2.48-2.63
Na13 0.3785 0.9825 0.2529  6 O 2.43-2.65
Na14 0.3989 0.3021 0.3377  5 O 2.42-2.63
Na15 0.4014 0.6602 0.8337  5 O 2.40-2.61
Na16 0.6933 0.3384 0.4170  6 O 2.47-2.69
Na17 0.7018 0.3238 0.9153  6 O 2.49-2.66
Na18 0.7039 0.6883 0.6709  5 O 2.41-2.59
Na19 0.7069 0.9594 0.1699  6 O 2.46-2.72
Na20 0.7364 0.0011 0.4980  6 O 2.44-2.69
Na21 0.7427 0.6234 0.9987  6 O 2.46-2.73
Sc1 0.0319 0.6728 0.2362  4 O 1.99-2.15
Sc2 0.0369 0.6568 0.9334  6 O 2.00-2.23
Sc3 0.0392 0.6622 0.4331  6 O 2.02-2.25
Sc4 0.3621 0.0022 0.1031  5 O 1.98-2.17
Sc5 0.6963 0.3330 0.5688  6 O 2.01-2.25
Sc6 0.7083 0.3254 0.0662  5 O 1.98-2.16
Si1 0.0729 0.2932 0.0011  4 O 1.64-1.66
Si2 0.3349 0.3645 0.8342  4 O 1.64-1.65
Si3 0.3351 0.6640 0.3344  4 O 1.64-1.65
Si4 0.3678 0.2911 0.5013  4 O 1.64-1.65
Si5 0.4015 0.6299 0.6679  4 O 1.64-1.65
Si6 0.7364 0.6651 0.8347  4 O 1.63-1.66
Si7 0.7360 0.9614 0.3343  4 O 1.63-1.67
Si8 0.9970 0.3296 0.6680  4 O 1.63-1.67
Si9 0.9981 0.0328 0.1678  4 O 1.64-1.66
Sn1 0.0328 0.6639 0.7340  6 O 2.04-2.15
Sn2 0.3600 0.0000 0.6054  6 O 2.02-2.18
Sn3 0.3709 0.9993 0.8981  6 O 2.03-2.18
Sn4 0.3752 0.9925 0.3981  6 O 2.02-2.16
Sn5 0.7019 0.3309 0.7685  6 O 2.02-2.17
Sn6 0.7034 0.3320 0.2704  6 O 2.03-2.13
P1 0.0332 0.3677 0.3350  4 O 1.54-1.57
P2 0.0332 0.9580 0.8359  4 O 1.54-1.57
P3 0.0773 0.9961 0.5001  4 O 1.54-1.56
P4 0.3675 0.7048 0.0013  4 O 1.54-1.57
P5 0.4087 0.3295 0.1678  4 O 1.54-1.56
P6 0.6587 0.7059 0.5027  4 O 1.54-1.56
P7 0.6610 0.9978 0.0026  4 O 1.54-1.56
P8 0.7023 0.6225 0.1671  4 O 1.55-1.56
P9 0.7037 0.0344 0.6670  4 O 1.54-1.57
O1 0.0083 0.5065 0.6716  1 Si 1.67
O2 0.0094 0.8807 0.8935  1 P 1.54
O3 0.0113 0.4722 0.3917  1 P 1.54
O4 0.0151 0.8446 0.1708  1 Si 1.64
O5 0.0569 0.4811 0.9975  1 Si 1.65
O6 0.0572 0.8378 0.4957  1 P 1.55
O7 0.0626 0.4474 0.2790  1 P 1.54
O8 0.0671 0.8405 0.7814  1 P 1.55
O9 0.1567 0.0275 0.4433  1 P 1.56
O10 0.1579 0.1685 0.9423  1 Si 1.66
O11 0.1876 0.0135 0.1653  1 Si 1.65
O12 0.1923 0.2054 0.0595  1 Si 1.64
O13 0.1930 0.1678 0.6666  1 Si 1.65
O14 0.1941 0.1868 0.3394  1 P 1.57
O15 0.1950 0.4778 0.4986  1 Si 1.64
O16 0.1973 0.9577 0.5542  1 P 1.55
O17 0.1972 0.9729 0.8384  1 P 1.57
O18 0.2030 0.6951 0.9970  1 P 1.55
O19 0.2135 0.4488 0.7751  1 Si 1.65
O20 0.2142 0.6459 0.6741  1 Si 1.64
O21 0.2184 0.6978 0.2751  1 Si 1.64
O22 0.2286 0.4847 0.1736  1 P 1.55
O23 0.2543 0.6252 0.3937  1 Si 1.64
O24 0.2546 0.4840 0.8932  1 Si 1.64
O25 0.3346 0.2034 0.5605  1 Si 1.65
O26 0.3382 0.1819 0.8379  1 Si 1.65
O27 0.3379 0.8433 0.3398  1 Si 1.65
O28 0.3457 0.8142 0.0567  1 P 1.54
O29 0.3992 0.1642 0.1643  1 P 1.55
O30 0.4011 0.1705 0.4423  1 Si 1.65
O31 0.4008 0.7838 0.9445  1 P 1.57
O32 0.4009 0.8113 0.6633  1 Si 1.65
O33 0.4827 0.5093 0.6092  1 Si 1.64
O34 0.4898 0.3605 0.1123  1 P 1.54
O35 0.5192 0.3025 0.2244  1 P 1.56
O36 0.5219 0.3493 0.8281  1 Si 1.65
O37 0.5219 0.4910 0.3291  1 Si 1.65
O38 0.5222 0.5481 0.7273  1 Si 1.65
O39 0.5244 0.5248 0.0051  1 P 1.55
O40 0.5389 0.7870 0.4486  1 P 1.55
O41 0.5396 0.8247 0.8390  1 Si 1.65
O42 0.5400 0.9960 0.3367  1 Si 1.65
O43 0.5406 0.3052 0.5037  1 Si 1.64